[Brief]
Return the contents further down from the line with "ωB97M-V/def2-TZVPD" to the end word for word.
[Input]
┌──
{
  "formula": "C47H51F53NO8",
  "method": "ωB97M-V/def2-TZVPD",
  "symbols": ["C", "C", "O", "O", "C", "C", "C", "C", "C", "C", "C", "C", "N", "C", "C", "C", "C", "C", "C", "F", "F", "C", "F", "F", "F", "H", "H", "H", "H", "H", "H", "H", "H", "H", "H", "H", "H", "H", "H", "H", "H", "H", "H", "H", "H", "H", "H", "H", "H", "H", "H", "H", "C", "C", "C", "F", "F", "F", "F", "O", "C", "C", "F", "F", "F", "F", "H", "H", "H", "H", "C", "C", "C", "F", "F", "F", "F", "O", "C", "C", "F", "F", "F", "F", "H", "H", "H", "H", "C", "C", "C", "F", "F", "F", "F", "O", "C", "C", "F", "F", "F", "F", "H", "H", "H", "H", "C", "C", "C", "F", "F", "F", "F", "O", "C", "C", "F", "F", "F", "F", "H", "H", "H", "H", "C", "C", "C", "F", "F", "F", "F", "O", "C", "C", "F", "F", "F", "F", "H", "H", "H", "H", "C", "C", "C", "F", "F", "F", "F", "O", "C", "C", "F", "F", "F", "F", "H", "H", "H", "H"],
└──
[Result]
  "method": "ωB97M-V/def2-TZVPD",
  "symbols": ["C", "C", "O", "O", "C", "C", "C", "C", "C", "C", "C", "C", "N", "C", "C", "C", "C", "C", "C", "F", "F", "C", "F", "F", "F", "H", "H", "H", "H", "H", "H", "H", "H", "H", "H", "H", "H", "H", "H", "H", "H", "H", "H", "H", "H", "H", "H", "H", "H", "H", "H", "H", "C", "C", "C", "F", "F", "F", "F", "O", "C", "C", "F", "F", "F", "F", "H", "H", "H", "H", "C", "C", "C", "F", "F", "F", "F", "O", "C", "C", "F", "F", "F", "F", "H", "H", "H", "H", "C", "C", "C", "F", "F", "F", "F", "O", "C", "C", "F", "F", "F", "F", "H", "H", "H", "H", "C", "C", "C", "F", "F", "F", "F", "O", "C", "C", "F", "F", "F", "F", "H", "H", "H", "H", "C", "C", "C", "F", "F", "F", "F", "O", "C", "C", "F", "F", "F", "F", "H", "H", "H", "H", "C", "C", "C", "F", "F", "F", "F", "O", "C", "C", "F", "F", "F", "F", "H", "H", "H", "H"],